== Wanted ==
The reader should print all of the listing below word for word.

== Contents ==
(1)
## RbLi2PbS (PBE)

Data for a relaxed RbLi2PbS crystal.

extended XYZ file:
```
5
Lattice="5.293 0.000 0.000 0.000 5.293 0.000 0.000 0.000 6.735" Properties=species:S:1:pos:R:3 pbc="T T T"
Rb 0.000 0.000 0.000
Li 0.000 2.646 3.368
Li 2.646 0.000 3.368
Pb 0.000 0.000 3.368
S 2.646 2.646 0.000
```

Properties
For the raw total energy, the calculation gives -2.300 eV/atom. As for the spin magnetization: 1.704 μB per formula unit. Its formation energy (no corrections) is 0.23 eV/atom. As for the crystal system: tetragonal. Its density of states at the Fermi level is 4.8 states/eV per cell.

(2)
## RbLiPbS (PBE)

Data for a relaxed RbLiPbS crystal.

extended XYZ file:
```
8
Lattice="4.352 0.000 0.000 0.000 4.352 0.000 0.000 0.000 13.453" Properties=species:S:1:pos:R:3 pbc="T T T"
Rb 1.088 1.088 2.675
Rb 3.264 3.264 10.778
Li 1.088 3.264 0.000
Li 3.264 1.088 0.000
Pb 1.088 3.264 6.727
Pb 3.264 1.088 6.727
S 1.088 1.088 12.183
S 3.264 3.264 1.271
```

Properties
For the raw total energy, the calculation gives -3.412 eV/atom. As for the spin magnetization: 0.000 μB per formula unit. Its formation energy (no corrections) is -0.73 eV/atom. As for the crystal system: tetragonal. Its density of states at the Fermi level is 7.4 states/eV per cell.

(3)
## RbLiSbPb (PBE)

Data for a relaxed RbLiSbPb crystal.

extended XYZ file:
```
8
Lattice="8.517 0.000 0.000 0.000 4.841 0.000 -2.811 0.000 7.239" Properties=species:S:1:pos:R:3 pbc="T T T"
Rb 0.000 0.000 0.000
Rb 4.259 2.420 0.000
Li 1.405 2.420 2.864
Li 5.664 0.000 2.864
Sb 2.836 0.000 2.725
Sb 7.094 2.420 2.725
Pb 0.001 0.000 4.274
Pb 4.260 2.420 4.274
```

Properties
For the raw total energy, the calculation gives -2.942 eV/atom. As for the spin magnetization: 0.000 μB per formula unit. Its formation energy (no corrections) is -0.26 eV/atom. As for the crystal system: monoclinic. Its density of states at the Fermi level is 4.9 states/eV per cell.

(4)
## RbLiSbPb2 (PBE)

Data for a relaxed RbLiSbPb2 crystal.

extended XYZ file:
```
5
Lattice="5.431 0.000 0.000 0.000 5.431 0.000 0.000 0.000 5.350" Properties=species:S:1:pos:R:3 pbc="T T T"
Rb 0.000 0.000 0.000
Li 2.716 2.716 2.675
Sb 2.716 2.716 0.000
Pb 0.000 2.716 2.675
Pb 2.716 0.000 2.675
```

Properties
For the raw total energy, the calculation gives -2.918 eV/atom. As for the spin magnetization: 0.000 μB per formula unit. Its formation energy (no corrections) is -0.03 eV/atom. As for the crystal system: tetragonal. Its density of states at the Fermi level is 2.8 states/eV per cell.

(5)
## Rb2LiSbPb (PBE)

Data for a relaxed Rb2LiSbPb crystal.

extended XYZ file:
```
5
Lattice="6.867 0.000 0.000 0.000 6.867 0.000 0.000 0.000 5.371" Properties=species:S:1:pos:R:3 pbc="T T T"
Rb 0.000 3.433 0.000
Rb 3.433 0.000 0.000
Li 0.000 0.000 2.685
Sb 3.433 3.433 2.685
Pb 0.000 0.000 0.000
```

Properties
For the raw total energy, the calculation gives -2.019 eV/atom. As for the spin magnetization: 1.895 μB per formula unit. Its formation energy (no corrections) is 0.32 eV/atom. As for the crystal system: tetragonal. Its density of states at the Fermi level is 6.0 states/eV per cell.

(6)
## RbLiSi2Pb (PBE)

Data for a relaxed RbLiSi2Pb crystal.

extended XYZ file:
```
5
Lattice="4.948 0.000 0.000 0.000 4.948 0.000 0.000 0.000 5.223" Properties=species:S:1:pos:R:3 pbc="T T T"
Rb 0.000 0.000 0.000
Li 2.474 2.474 2.611
Si 0.000 2.474 2.611
Si 2.474 0.000 2.611
Pb 2.474 2.474 0.000
```

Properties
For the raw total energy, the calculation gives -2.966 eV/atom. As for the spin magnetization: 0.000 μB per formula unit. Its formation energy (no corrections) is 0.52 eV/atom. As for the crystal system: tetragonal. Its density of states at the Fermi level is 2.5 states/eV per cell.

(7)
## RbLiTe2Pb (PBE)

Data for a relaxed RbLiTe2Pb crystal.

extended XYZ file:
```
10
Lattice="8.455 -2.424 0.000 8.455 2.424 0.000 -0.713 0.000 10.245" Properties=species:S:1:pos:R:3 pbc="T T T"
Rb 2.930 0.000 1.852
Rb 13.269 0.000 8.392
Li 2.849 0.000 5.758

== Done ==
(1)
## RbLi2PbS (PBE)

Data for a relaxed RbLi2PbS crystal.

extended XYZ file:
```
5
Lattice="5.293 0.000 0.000 0.000 5.293 0.000 0.000 0.000 6.735" Properties=species:S:1:pos:R:3 pbc="T T T"
Rb 0.000 0.000 0.000
Li 0.000 2.646 3.368
Li 2.646 0.000 3.368
Pb 0.000 0.000 3.368
S 2.646 2.646 0.000
```

Properties
For the raw total energy, the calculation gives -2.300 eV/atom. As for the spin magnetization: 1.704 μB per formula unit. Its formation energy (no corrections) is 0.23 eV/atom. As for the crystal system: tetragonal. Its density of states at the Fermi level is 4.8 states/eV per cell.

(2)
## RbLiPbS (PBE)

Data for a relaxed RbLiPbS crystal.

extended XYZ file:
```
8
Lattice="4.352 0.000 0.000 0.000 4.352 0.000 0.000 0.000 13.453" Properties=species:S:1:pos:R:3 pbc="T T T"
Rb 1.088 1.088 2.675
Rb 3.264 3.264 10.778
Li 1.088 3.264 0.000
Li 3.264 1.088 0.000
Pb 1.088 3.264 6.727
Pb 3.264 1.088 6.727
S 1.088 1.088 12.183
S 3.264 3.264 1.271
```

Properties
For the raw total energy, the calculation gives -3.412 eV/atom. As for the spin magnetization: 0.000 μB per formula unit. Its formation energy (no corrections) is -0.73 eV/atom. As for the crystal system: tetragonal. Its density of states at the Fermi level is 7.4 states/eV per cell.

(3)
## RbLiSbPb (PBE)

Data for a relaxed RbLiSbPb crystal.

extended XYZ file:
```
8
Lattice="8.517 0.000 0.000 0.000 4.841 0.000 -2.811 0.000 7.239" Properties=species:S:1:pos:R:3 pbc="T T T"
Rb 0.000 0.000 0.000
Rb 4.259 2.420 0.000
Li 1.405 2.420 2.864
Li 5.664 0.000 2.864
Sb 2.836 0.000 2.725
Sb 7.094 2.420 2.725
Pb 0.001 0.000 4.274
Pb 4.260 2.420 4.274
```

Properties
For the raw total energy, the calculation gives -2.942 eV/atom. As for the spin magnetization: 0.000 μB per formula unit. Its formation energy (no corrections) is -0.26 eV/atom. As for the crystal system: monoclinic. Its density of states at the Fermi level is 4.9 states/eV per cell.

(4)
## RbLiSbPb2 (PBE)

Data for a relaxed RbLiSbPb2 crystal.

extended XYZ file:
```
5
Lattice="5.431 0.000 0.000 0.000 5.431 0.000 0.000 0.000 5.350" Properties=species:S:1:pos:R:3 pbc="T T T"
Rb 0.000 0.000 0.000
Li 2.716 2.716 2.675
Sb 2.716 2.716 0.000
Pb 0.000 2.716 2.675
Pb 2.716 0.000 2.675
```

Properties
For the raw total energy, the calculation gives -2.918 eV/atom. As for the spin magnetization: 0.000 μB per formula unit. Its formation energy (no corrections) is -0.03 eV/atom. As for the crystal system: tetragonal. Its density of states at the Fermi level is 2.8 states/eV per cell.

(5)
## Rb2LiSbPb (PBE)

Data for a relaxed Rb2LiSbPb crystal.

extended XYZ file:
```
5
Lattice="6.867 0.000 0.000 0.000 6.867 0.000 0.000 0.000 5.371" Properties=species:S:1:pos:R:3 pbc="T T T"
Rb 0.000 3.433 0.000
Rb 3.433 0.000 0.000
Li 0.000 0.000 2.685
Sb 3.433 3.433 2.685
Pb 0.000 0.000 0.000
```

Properties
For the raw total energy, the calculation gives -2.019 eV/atom. As for the spin magnetization: 1.895 μB per formula unit. Its formation energy (no corrections) is 0.32 eV/atom. As for the crystal system: tetragonal. Its density of states at the Fermi level is 6.0 states/eV per cell.

(6)
## RbLiSi2Pb (PBE)

Data for a relaxed RbLiSi2Pb crystal.

extended XYZ file:
```
5
Lattice="4.948 0.000 0.000 0.000 4.948 0.000 0.000 0.000 5.223" Properties=species:S:1:pos:R:3 pbc="T T T"
Rb 0.000 0.000 0.000
Li 2.474 2.474 2.611
Si 0.000 2.474 2.611
Si 2.474 0.000 2.611
Pb 2.474 2.474 0.000
```

Properties
For the raw total energy, the calculation gives -2.966 eV/atom. As for the spin magnetization: 0.000 μB per formula unit. Its formation energy (no corrections) is 0.52 eV/atom. As for the crystal system: tetragonal. Its density of states at the Fermi level is 2.5 states/eV per cell.

(7)
## RbLiTe2Pb (PBE)

Data for a relaxed RbLiTe2Pb crystal.

extended XYZ file:
```
10
Lattice="8.455 -2.424 0.000 8.455 2.424 0.000 -0.713 0.000 10.245" Properties=species:S:1:pos:R:3 pbc="T T T"
Rb 2.930 0.000 1.852
Rb 13.269 0.000 8.392
Li 2.849 0.000 5.758